view of town

[Attached: calculated crystals]
The following is a computed X-ray powder pattern of Li2Mn3Cl8. It was derived from a structure optimized by DFT (PBE), using Cu Ka.
Peak positions follow from Bragg's law for the DFT cell and can differ from measured ones.

Structural model:
a b c (Å): 7.521 14.807 10.620
angles (deg): 90.00 90.00 90.00
Space group Cmce (No. 64)
Asymmetric unit:
Li: 0.000 0.128 0.111
Mn: 0.000 0.000 0.500
Mn: 0.250 0.134 0.750
Cl: 0.000 0.005 0.745
Cl: 0.000 0.245 0.755
Cl: 0.237 0.119 0.516

Peak list (10 most intense, 10 to 90 degrees two-theta, low angle first)
(0 2 1), 14.58 deg, intensity 73
(1 1 1), 15.63 deg, intensity 29
(2 2 1), 27.91 deg, intensity 34
(0 0 4), 33.76 deg, intensity 50
(2 4 0), 33.98 deg, intensity 100
(2 6 1), 44.75 deg, intensity 15
(4 0 0), 48.40 deg, intensity 21
(2 4 4), 48.66 deg, intensity 67
(0 8 0), 49.23 deg, intensity 16
(4 0 4), 60.32 deg, intensity 15

=====

Record 1
For ScB2W, a structure optimized by DFT (PBE) gives the theoretical powder diffractogram in this record (Cu Kα, 1.54184 Å).

Structure:
Cell lengths 4.5149, 4.5704, 9.0523 Å; angles 90.00, 104.36, 90.00 degrees
Space group P2/c (No. 13)
One atom of each set of equivalent atoms:
Sc: 0.1993 0.1267 0.1480
B: 0.1566 0.3711 0.5597
B: 0.3475 0.1315 0.4489
W: 0.3051 0.3767 0.8576

Most intense lines, 2θ from 5° to 70°, by intensity:
- 2θ 38.0, I = 100.0, hkl 1 1 2
- 2θ 31.8, I = 98.7, hkl 1 1 -2
- 2θ 40.8, I = 54.5, hkl 0 2 1
- 2θ 41.3, I = 52.6, hkl 2 0 -2
- 2θ 45.9, I = 52.6, hkl 1 1 -4
- 2θ 19.4, I = 50.4, hkl 0 1 0
- 2θ 21.9, I = 42.6, hkl 0 1 1
- 2θ 24.9, I = 39.3, hkl 1 0 -2

=====

Record 2
For ZrScB24, a structure optimized by DFT (PBE) gives the theoretical powder diffractogram in this record (Cu Kα, 1.54184 Å).

Structure:
Cell lengths 5.2394, 5.2394, 25.6733 Å; angles 90.00, 90.00, 120.00 degrees
Space group R-3m (No. 166, hexagonal axes)
One atom of each set of equivalent atoms:
Zr: 0.0000 0.0000 0.0000
Sc: 0.0000 0.0000 0.5000
B: 0.0003 0.3389 0.2500
B: 0.1072 0.5536 0.9733
B: 0.1076 0.5538 0.4733

Most intense lines, 2θ from 5° to 70°, by intensity:
- 2θ 40.4, I = 100.0, hkl 2 0 2
- 2θ 24.0, I = 55.4, hkl 1 0 4
- 2θ 20.8, I = 41.3, hkl 0 0 6
- 2θ 42.2, I = 31.1, hkl 0 0 12
- 2θ 61.3, I = 26.1, hkl 1 0 16
- 2θ 53.9, I = 22.9, hkl 0 2 10
- 2θ 34.2, I = 18.3, hkl 1 1 0
- 2θ 10.3, I = 14.7, hkl 0 0 3

=====

Record 3
For BSe, a structure optimized by DFT (PBE) gives the theoretical powder diffractogram in this record (Cu Kα, 1.54184 Å).

Structure:
Cell lengths 3.2574, 5.6405, 8.3144 Å; angles 90.00, 101.00, 90.00 degrees
Space group C2 (No. 5)
One atom of each set of equivalent atoms:
B: 0.0511 0.0000 0.1049
Se: 0.1076 0.6666 0.2208

Most intense lines, 2θ from 5° to 70°, by intensity:
- 2θ 21.8, I = 100.0, hkl 0 0 2
- 2θ 32.2, I = 94.0, hkl 1 1 0
- 2θ 10.8, I = 51.2, hkl 0 0 1
- 2θ 38.8, I = 47.7, hkl 0 2 2
- 2θ 31.7, I = 42.2, hkl 0 2 0
- 2θ 42.2, I = 37.7, hkl 1 1 2
- 2θ 42.4, I = 36.2, hkl 1 1 -3
- 2θ 56.8, I = 24.7, hkl 1 3 0

=====

Record 4

2024 Town Meeting Results


David Gilbert was re-elected to the Select Board.

54 Residents attended Town Meeting moderated by Joshua Tardy. Questions were raised concerning work needed on Gravel Roads and Public Works. Due to an easy winter so far shouldn't need to purchase as much salt and sand this year. Gravel Roads account was cut from $50,000 to $40,000 and Public Works from $250,000 to $230,000. Grammatical changes were made to Planning Board Amendment to make language gender neutral. Local Relief Funds were appropriated to refinish the gym floor, various building repairs and a solar project. Article concerning solar panels was amended to Solar Panels with understanding that means projects performed with adequate engineering. Remaining articles passed as presented including funds to replace playground at the Town Park. Amount to be raised is $13,917 less than previous municipal budget.

2023 Town Meeting Results


Brian Barrows and Herb Bates were re-elected to the Select Board and Veronica Nicholson was re-elected to the School Board.

After much discussion on a few articles the Municipal Budget was approved as presented. The budget came in at $66,859 under last year's. Local Rescue Funds (Federal Covid Relief Funds) were approved for donations to organizations helping people hit especially hard due to the pandemic. Local Rescue Funds were also appropriated for building security, lighting and cleaning equipment for the Community Center.

An article to appropriate Local Rescue Funds for a Trail on Town property was voted down. An article to amend the Zoning Ordinance was also voted down.

Work is being done to update Town Ordinances. An article to appropriate funds for Gravel Roads did not include all funds that were not to be raised. More information was requested for use of Local Rescue Funds. A Special Town Meeting will be held later in the year to address these matters.

Attached: records of crystals:
/*
Entry 1:
Diffraction record for AcLu3. The powder XRD pattern is theoretical, not measured: it uses a structure optimized by DFT (GGA-PBE) and Cu Kα X-rays.

Structure:
a = 5.0890 Å, b = 5.0890 Å, c = 5.0890 Å
α = 90.00°, β = 90.00°, γ = 90.00°
Space group Pm-3m (No. 221)
One atom of each set of equivalent atoms:
Ac1 0.0000 0.0000 0.0000 x1
Lu1 0.0000 0.5000 0.5000 x3

The 8 most intense peaks (2θ = 5–70°), sorted by position:
hkl  2θ (°)  I/Imax
1 0 0  17.43  1
1 1 0  24.74  1
1 1 1  30.42  100
2 0 0  35.27  51
2 1 0  39.60  1
2 2 0  50.74  37
3 1 1  60.32  44
2 2 2  63.31  13

=====

Entry 2:
Diffraction record for Bi2RuO6. The powder XRD pattern is theoretical, not measured: it uses a structure optimized by DFT (GGA-PBE) and Cu Kα X-rays.

Structure:
a = 5.0523 Å, b = 5.0523 Å, c = 10.1803 Å
α = 90.00°, β = 90.00°, γ = 90.00°
Space group P4_2/mnm (No. 136)
One atom of each set of equivalent atoms:
Bi1 0.0000 0.0000 0.1676 x4
Ru1 0.0000 0.0000 0.5000 x2
O1 0.1817 0.1817 0.3526 x8
O2 0.2280 0.2280 0.0000 x4

The 10 most intense peaks (2θ = 5–70°), sorted by position:
hkl  2θ (°)  I/Imax
1 0 1  19.62  9
1 1 0  24.92  100
1 0 3  31.77  91
2 0 0  35.54  28
2 1 3  48.40  70
2 2 0  51.14  17
3 1 0  57.70  18
1 1 6  60.40  17
3 0 3  61.47  20
2 0 6  66.37  11

=====

Entry 3:
Diffraction record for BaLa4Cu5O12. The powder XRD pattern is theoretical, not measured: it uses a structure optimized by DFT (GGA-PBE) and Cu Kα X-rays.

Structure:
a = 8.7086 Å, b = 8.7086 Å, c = 3.8888 Å
α = 90.00°, β = 90.00°, γ = 90.00°
Space group P4/m (No. 83)
One atom of each set of equivalent atoms:
Ba1 0.0000 0.0000 0.0000 x1
La1 0.2006 0.3729 0.0000 x4
Cu1 0.0939 0.6652 0.5000 x4
Cu2 0.5000 0.5000 0.5000 x1
O1 0.0903 0.6539 0.0000 x4
O2 0.1046 0.2349 0.5000 x4
O3 0.2846 0.5493 0.5000 x4

The 10 most intense peaks (2θ = 5–70°), sorted by position:
hkl  2θ (°)  I/Imax
1 2 0  22.84  11
3 0 0  30.82  3
1 2 1  32.53  100
2 3 0  37.24  5
3 1 1  40.12  11
1 4 0  42.81  3
0 0 2  46.67  25
1 2 2  52.57  6
3 1 2  58.04  35
2 4 2  68.14  12

=====

Entry 4:
Diffraction record for Cs2Tl6Pt3. The powder XRD pattern is theoretical, not measured: it uses a structure optimized by DFT (GGA-PBE) and Cu Kα X-rays.

Structure:
a = 8.9369 Å, b = 8.9369 Å, c = 4.9655 Å
α = 90.00°, β = 90.00°, γ = 120.00°
Space group P-62m (No. 189)
One atom of each set of equivalent atoms:
Cs1 0.3333 0.6667 0.0000 x2
Tl1 0.0000 0.2054 0.0000 x3
Tl2 0.0000 0.6714 0.5000 x3
Pt1 0.0000 0.3479 0.5000 x3

The 10 most intense peaks (2θ = 5–70°), sorted by position:
hkl  2θ (°)  I/Imax
1 1 0  19.87  30
1 1 1  26.84  100
2 1 0  30.56  26
3 0 0  34.77  63
2 1 1  35.62  60
0 0 2  36.18  45
3 0 1  39.36  52
3 0 2  51.05  43
4 1 1  57.65  47
3 3 1  65.42  18

=====

Entry 5:
Diffraction record for Mg15C. The powder XRD pattern is theoretical, not measured: it uses a structure optimized by DFT (GGA-PBE) and Cu Kα X-rays.

Structure:
a = 6.2857 Å, b = 6.2857 Å, c = 9.9763 Å
α = 90.00°, β = 90.00°, γ = 120.00°
*/
The records of crystals stop here:

2022 Town Meeting Results


Vondell Dunphy and Jo-Ann Brown were re-elected to the Select Board. Jennifer Watson won re-election to the School Board.
The Municipal Budget passed as presented. Additional funds were appropiated to lower the committment to off set the increase of $158,259 over last years budget.
Ordinance revisions were approved. The CEO will now be processing Residential Land Use Permits.
CEO Travis Gould is in on Tuesdays beginning at noon.

2021 Town Meeting Results


David Gilbert was re-elected to the Select Board. Articles passed as presented except for the purchase of a truck was voted down. The Municipal Budget for 2021 is $1,209,832. $100,000 of set aside funds will be put toward the final payment of the 2016 Paving Loan, making the amount to raise $23,706 over 2020.

2020 Town Meeting Results


Mike Cray was presented a plaque in appreciation for his many years of service to the Town.
Brian Barrows was reelected and Herb Bates elected for three year terms to the Select Board. Veronica Nicholson was elected as a write in to a three year term as RSU Director.
The annual budget passed as proposed with an increase of $41,624 over last year. The Select Board was given authorization to borrow funds for the purchase of a Plow Truck and Paving. Funds were appropriated for the replacement of a culvert on the Libby Hill Road to be done this spring or summer. Funds were approved for setting up our tax maps on Google Maps and to set aside funds for a Revaluation.